**File:**
[1]
The following is a DFT calculation (PBEsol) of a geometry-optimized Li3V2FeO6 structure.

The structure in CIF format:
```
data_Li3V2FeO6
_space_group_name_H-M_alt 'P 1'
_space_group_IT_number 1
_cell_length_a 2.7530
_cell_length_b 5.7891
_cell_length_c 6.5451
_cell_angle_alpha 106.82
_cell_angle_beta 102.14
_cell_angle_gamma 90.00
loop_
_space_group_symop_operation_xyz
'x,y,z'
loop_
_atom_site_label
_atom_site_type_symbol
_atom_site_fract_x
_atom_site_fract_y
_atom_site_fract_z
V1 V 0.6784 0.8630 0.3568
V2 V 0.3216 0.1370 0.6432
O1 O 0.1613 0.0937 0.3227
Fe1 Fe 0.0000 0.5000 0.0000
Li1 Li 0.6588 0.3483 0.3176
O2 O 0.8387 0.9063 0.6773
Li2 Li 0.3412 0.6517 0.6824
Li3 Li 0.0000 0.0000 0.0000
O3 O 0.5106 0.7361 0.0212
O4 O 0.8408 0.3939 0.6815
O5 O 0.4894 0.2639 0.9788
O6 O 0.1592 0.6061 0.3185
```

- SG = C2/m, No. 12
- uncorrected formation energy (meV per atom) = -2083


[2]
The following is a DFT calculation (PBEsol) of a geometry-optimized Y3SiOs structure.

The structure in CIF format:
```
data_Y3SiOs
_space_group_name_H-M_alt 'P 1'
_space_group_IT_number 1
_cell_length_a 5.2049
_cell_length_b 5.2049
_cell_length_c 5.2049
_cell_angle_alpha 90.00
_cell_angle_beta 90.00
_cell_angle_gamma 90.00
loop_
_space_group_symop_operation_xyz
'x,y,z'
loop_
_atom_site_label
_atom_site_type_symbol
_atom_site_fract_x
_atom_site_fract_y
_atom_site_fract_z
Y1 Y 0.0000 0.5000 0.0000
Y2 Y 0.5000 0.0000 0.0000
Si1 Si 0.5000 0.5000 0.5000
Os1 Os 0.0000 0.0000 0.0000
Y3 Y 0.0000 0.0000 0.5000
```

- SG = Pm-3m, No. 221
- uncorrected formation energy (meV per atom) = 146


[3]
The following is a DFT calculation (PBEsol) of a geometry-optimized Li3V2O4F2 structure.

The structure in CIF format:
```
data_Li3V2O4F2
_space_group_name_H-M_alt 'P 1'
_space_group_IT_number 1
_cell_length_a 5.7508
_cell_length_b 5.7534
_cell_length_c 14.5737
_cell_angle_alpha 89.49
_cell_angle_beta 90.00
_cell_angle_gamma 119.99
loop_
_space_group_symop_operation_xyz
'x,y,z'
loop_
_atom_site_label
_atom_site_type_symbol
_atom_site_fract_x
_atom_site_fract_y
_atom_site_fract_z
Li1 Li 0.1624 0.8280 0.3335
F1 F 0.3235 0.1575 0.9109
V1 V 0.5039 0.0079 0.4954
Li2 Li 0.3407 0.6814 0.6884
Li3 Li 0.5064 0.4804 0.9629
F2 F 0.8354 0.6708 0.9151
O1 O 0.6678 0.3355 0.0910
F3 F 0.0350 0.5277 0.7545
O2 O 0.8350 0.6701 0.4254
F4 F 0.0178 0.0356 0.7510
O3 O 0.3300 0.6600 0.4241
Li4 Li 0.1653 0.3305 0.8384
O4 O 0.1651 0.3302 0.5680
O5 O 0.1705 0.8212 0.5665
V2 V 0.3331 0.6663 0.1620
Li5 Li 0.1640 0.3279 0.3345
Li6 Li 0.5035 0.0071 0.9558
Li7 Li 0.6985 0.8295 0.8293
F5 F 0.3272 0.6545 0.9233
V3 V 0.8264 0.1727 0.1685
Li8 Li 0.9740 0.4804 0.9629
O6 O 0.9988 0.9975 0.2429
F6 F 0.8340 0.1575 0.9109
O7 O 0.6712 0.8369 0.1021
V4 V 0.3463 0.1727 0.1685
V5 V 0.9930 0.9859 0.5099
O8 O 0.8376 0.1564 0.4256
O9 O 0.6598 0.3197 0.5743
V6 V 0.5044 0.4865 0.4993
F7 F 0.4926 0.5277 0.7545
O10 O 0.1655 0.3310 0.1017
Li9 Li 0.6655 0.8280 0.3335
O11 O 0.3187 0.1564 0.4256
Li10 Li 0.3707 0.2084 0.7081
F8 F 0.4995 0.9990 0.7458
O12 O 0.6507 0.8212 0.5665
O13 O 0.0061 0.5011 0.2431
Li11 Li 0.8377 0.2084 0.7081
Li12 Li 0.1310 0.8295 0.8293
O14 O 0.4950 0.9900 0.2432
O15 O 0.4950 0.5011 0.2431
V7 V 0.9821 0.4865 0.4993
V8 V 0.8266 0.6533 0.1683
O16 O 0.1657 0.8369 0.1021
```

- SG = Cm, No. 8
- uncorrected formation energy (meV per atom) = -2493
- ΔE to the lowest computed polymorph (eV per formula unit) = 0.44


[4]
The following is a DFT calculation (PBEsol) of a geometry-optimized TcIr2Ru structure.

The structure in CIF format:
```
data_TcIr2Ru
_space_group_name_H-M_alt 'P 1'
_space_group_IT_number 1
_cell_length_a 2.6912
_cell_length_b 2.6912
_cell_length_c 8.9643
_cell_angle_alpha 81.37
_cell_angle_beta 81.37
_cell_angle_gamma 60.00
loop_
_space_group_symop_operation_xyz
'x,y,z'
loop_
_atom_site_label
_atom_site_type_symbol
_atom_site_fract_x
_atom_site_fract_y
_atom_site_fract_z
Ir1 Ir 0.9986 0.9986 0.0042
Ir2 Ir 0.7513 0.7513 0.7462
Ru1 Ru 0.5010 0.5010 0.4971
Tc1 Tc 0.2491 0.2491 0.2526
```

**Exercise:**
Work out how many lines above have the word "O12" in them; a number is enough.

**Completed:**
1